The reader should quote every line underneath that contains the word "O6".

1.
Below is a relaxed Ca3ZrSi2O9 crystal, with properties calculated at the PBE level.

Unit cell a=7.443 b=10.331 c=10.527 alpha=90.00 beta=91.07 gamma=90.00
Space group P2_1/c (No. 14)
Unique sites:
Ca1 0.119 0.175 0.090
Ca2 0.365 0.077 0.386
Ca3 0.373 0.696 0.401
Zr1 0.124 0.564 0.115
Si1 0.166 0.624 0.682
Si2 0.402 0.135 0.811
O1 0.084 0.004 0.251
O2 0.096 0.110 0.510
O3 0.107 0.736 0.244
O4 0.140 0.623 0.529
O5 0.307 0.000 0.763
O6 0.344 0.608 0.015
O7 0.357 0.235 0.227
O8 0.379 0.166 0.960
O9 0.382 0.606 0.725



2.
Below is a relaxed BaCO3 crystal, with properties calculated at the PBE level.

Unit cell a=4.187 b=7.295 c=5.466 alpha=90.00 beta=90.00 gamma=90.00
Space group Pnn2 (No. 34)
Unique sites:
Ba1 0.000 0.000 0.000
C1 0.000 0.500 0.061
O1 0.000 0.500 0.824
O2 0.002 0.348 0.187



3.
Below is a relaxed DyZr6P9O36 crystal, with properties calculated at the PBE level.

Unit cell a=8.9444 b=8.9444 c=22.9487 alpha=90.00 beta=90.00 gamma=120.00
Space group P-3c1 (No. 165)
Unique sites:
Dy1 0.0000 0.0000 0.0000
Zr1 0.0000 0.0000 0.1493
Zr2 0.3333 0.6667 0.0285
Zr3 0.3333 0.6667 0.3128
P1 0.0000 0.2917 0.2500
P2 0.0548 0.3735 0.9210
O1 0.0095 0.1773 0.9216
O2 0.0309 0.2048 0.1960
O3 0.1156 0.4913 0.5746
O4 0.1473 0.4609 0.8643
O5 0.1591 0.4682 0.2600
O6 0.1718 0.4549 0.9742



4.
Below is a relaxed Ag2TeO6 crystal, with properties calculated at the PBE level.

Computed properties:
polymorph energy (0 for the lowest one) = 0.815 eV per formula unit

Unit cell a=6.022 b=16.772 c=11.100 alpha=90.00 beta=90.00 gamma=90.00
Space group Fdd2 (No. 43)
Unique sites:
Ag1 0.037 0.418 0.000
Te1 0.000 0.000 0.954
O1 0.040 0.300 0.091
O2 0.047 0.159 0.219
O3 0.076 0.302 0.332



| no. | E_form (meV per atom) |
| --- | --- |
| 1 | -3539 |
| 2 | -2639 |
| 3 | -3240 |
| 4 | -547 |

~~~~~

# 1
Here is crystalline Na2LiNdCl6 at its relaxed geometry from Materials Project. Energies are from GGA-PBE.

a b c (Å): 7.401 7.401 7.401
angles (deg): 60.00 60.00 60.00
Atoms (fractional coordinates):
1 Na 0.250 0.250 0.250
2 Na 0.750 0.750 0.750
3 Li 0.000 0.000 0.000
4 Nd 0.500 0.500 0.500
5 Cl 0.241 0.241 0.759
6 Cl 0.241 0.759 0.241
7 Cl 0.241 0.759 0.759
8 Cl 0.759 0.241 0.241
9 Cl 0.759 0.241 0.759
10 Cl 0.759 0.759 0.241



# 2
Here is crystalline Tl4PbSe3 at its relaxed geometry from Materials Project. Energies are from GGA-PBE.

a b c (Å): 8.909 8.909 8.909
angles (deg): 122.66 122.66 85.45
Atoms (fractional coordinates):
1 Tl 0.004 0.504 0.198
2 Tl 0.193 0.996 0.500
3 Tl 0.307 0.807 0.802
4 Tl 0.496 0.693 0.500
5 Tl 0.504 0.307 0.500
6 Tl 0.693 0.193 0.198
7 Tl 0.807 0.004 0.500
8 Tl 0.996 0.496 0.802
9 Pb 0.000 0.000 0.000
10 Pb 0.500 0.500 0.000
11 Se 0.163 0.337 0.500
12 Se 0.250 0.250 0.000
13 Se 0.337 0.837 0.174
14 Se 0.663 0.163 0.826
15 Se 0.750 0.750 0.000
16 Se 0.837 0.663 0.500

Output
The energy relative to the lowest polymorph listed for this composition comes out at 14 meV/atom.



For reference, ΔE_f by record: -2.212, -0.566 eV per atom.

~~~~~

# BaTi2O5 (PBE-GGA, optimized geometry)
data_BaTi2O5
_chemical_formula_sum 'Ba6 Ti12 O30'
_cell_length_a 17.043
_cell_length_b 3.969
_cell_length_c 9.596
_cell_angle_alpha 90.00
_cell_angle_beta 102.85
_cell_angle_gamma 90.00
_space_group_name_H-M_alt 'C 1 2 1'
_space_group_IT_number 5
loop_
_space_group_symop_operation_xyz
'x,y,z'
'-x,y,-z'
'x+1/2,y+1/2,z'
'-x+1/2,y+1/2,-z'
loop_
_atom_site_label
_atom_site_type_symbol
_atom_site_fract_x
_atom_site_fract_y
_atom_site_fract_z
Ba1 Ba 0.000 0.000 0.000
Ba2 Ba 0.132 0.002 0.484
Ti1 Ti 0.039 0.530 0.709
Ti2 Ti 0.167 0.494 0.196
Ti3 Ti 0.206 0.489 0.873
O1 O 0.000 0.489 0.500
O2 O 0.035 0.982 0.709
O3 O 0.058 0.487 0.211
O4 O 0.108 0.494 0.925
O5 O 0.153 0.493 0.686
O6 O 0.175 0.992 0.163
O7 O 0.210 0.496 0.377
O8 O 0.235 0.992 0.899
# Calculated formation energy (meV/atom): -3513

~~~~~

# Sr8MgP4I4O16

Sr8MgP4I4O16 after structural relaxation (PBE, Materials Project).

O6 0.344 0.608 0.015
O6 0.1718 0.4549 0.9742
O6 O 0.175 0.992 0.163